Love it or hate it, winter is here, and for many people, this means shoveling snow. For an ostomate, this could increase the risk of developing a parastomal hernia (one of my biggest fears), so it’s extremely important to take special care.
Below you’ll find some strategies to help deal with snow.
Table of Contents
Hernia Prevention Belts / Support Bands.
As the first line of protection, hernia prevention belts, and support bands can be used to provide pressure to the abdominal area that is most at risk for hernias.
The text is interrupted by data records:
(1)
Compound: La3Pr3Sn2
Source: Alexandria
Functional: PBE
Structure: relaxed

Unit cell a=6.3916 b=6.3916 c=6.3916 alpha=90.00 beta=90.00 gamma=90.00
Last column: magnetic moment on the atom in μB.
Fractional positions:
La (0.2498, 0.7502, 0.0000)  0.14
Pr (0.5000, 0.2509, 0.2509)  0.15
La (0.0000, 0.2498, 0.2498)  0.14
Sn (0.2533, 0.2533, 0.7467)  -0.01
Sn (0.7467, 0.7467, 0.2533)  -0.01
Pr (0.2509, 0.7491, 0.5000)  0.15
Pr (0.7491, 0.5000, 0.7491)  0.15
La (0.7502, 0.0000, 0.7502)  0.14

Summary:
- Calculated total energy: -40.2 eV per cell
- Energy of formation from the pure elements: -0.379 eV/atom



(2)
Compound: PmSmHo2S6
Source: Alexandria
Functional: PBE
Structure: relaxed

Unit cell a=6.9998 b=6.9998 c=7.3911 alpha=61.73 beta=61.73 gamma=59.99
Fractional positions:
S (0.3997, 0.7244, 0.7465)
Pm (0.8111, 0.8111, 0.5666)
S (0.9026, 0.6265, 0.2467)
S (0.1294, 0.3997, 0.7465)
S (0.6265, 0.2242, 0.2467)
Sm (0.3122, 0.3122, 0.0633)
Ho (0.5161, 0.5160, 0.4519)
S (0.2242, 0.9025, 0.2467)
S (0.7244, 0.1294, 0.7465)
Ho (0.0154, 0.0154, 0.9539)

Summary:
- Uncorrected formation energy: -2.0455 eV per atom
- Calculated total energy: -63.8 eV per cell



(3)
Compound: As3Cl
Source: Alexandria
Functional: PBE
Structure: relaxed

Unit cell a=8.5282 b=8.5282 c=3.5782 alpha=90.00 beta=90.00 gamma=128.05
Fractional positions:
Cl (0.6249, 0.3751, 0.2500)
As (0.6423, 0.0065, 0.7500)
Cl (0.3751, 0.6249, 0.7500)
As (0.0888, 0.9112, 0.7500)
As (0.3577, 0.9935, 0.2500)
As (0.0065, 0.6423, 0.2500)
As (0.9112, 0.0888, 0.2500)
As (0.9935, 0.3577, 0.7500)

Summary:
- Uncorrected formation energy: 0.0777 eV per atom
- Excess energy over the best structure of this formula in the dataset: 71 meV/atom
- Calculated total energy: -31.0 eV per cell



(4)
Compound: NbTl2TcO6
Source: Alexandria
Functional: PBE
Structure: relaxed

Unit cell a=5.7197 b=5.7197 c=5.7209 alpha=60.03 beta=60.03 gamma=90.00
Fractional positions:
O (0.7453, 0.7453, 0.5094)
Tl (0.2500, 0.7501, 0.5000)
O (0.2545, 0.7454, 0.0000)
O (0.7455, 0.7456, 0.0004)
Tc (0.5000, 0.5000, 0.0000)
Tl (0.7500, 0.2499, 0.5000)
O (0.7455, 0.2546, 0.0000)
Nb (0.0000, 0.0000, 0.0000)
O (0.2547, 0.2547, 0.4906)
O (0.2545, 0.2544, 0.9996)

Summary:
- Uncorrected formation energy: -1.5097 eV per atom
- Calculated total energy: -70.0 eV per cell



(5)
Compound: La2Al4CdCu3
Source: Alexandria
Functional: PBE
Structure: relaxed

Unit cell a=4.3533 b=4.3533 c=10.5179 alpha=90.00 beta=90.00 gamma=90.00
Fractional positions:
Al (0.0000, 0.0000, 0.0000)
Al (0.5000, 0.0000, 0.6468)
Al (0.5000, 0.5000, 0.0000)
Cu (0.5000, 0.0000, 0.8793)
Cd (0.5000, 0.5000, 0.5000)
Al (0.0000, 0.5000, 0.3532)
La (0.0000, 0.5000, 0.7569)
Cu (0.0000, 0.0000, 0.5000)
Cu (0.0000, 0.5000, 0.1207)
La (0.5000, 0.0000, 0.2431)

Summary:
- Calculated total energy: -41.8 eV per cell
- Energy of formation from the pure elements: -0.373 eV/atom



(6)
Compound: Ca2AlZnN
Source: Alexandria
Functional: PBE
Structure: relaxed
Here the text continues:
These belts are often custom fit, and most insurance providers will cover them if your doctor writes a prescription for you.
Keep in mind that you’ll want a belt that offers firm support, so a regular Ostomy wrap won’t be good enough for hernia prevention.
HU-Hope is one popular brand, and their products are found through just about any medical supplier.
Here’s a video from a friend, and fellow ostomate, Megan (The Front Butt YouTuber):
If you haven’t seen her other videos, I’d highly recommend that you check them out (and subscribe to her YouTube channel).
Choose the Right Equipment
Shovels come in all sorts of styles, which is great because you can find one (or more) to suit your needs.
I use two shovels: one is a big-ass push-style and the other is a smaller ergonomic one. Both can be used differently, so I find this combination works best for me.
You may want to invest in a shovel that isn’t very wide, so there’s less weight to move around.
If you have the option to buy a snow blower, it could make things a lot easier for you, since there’s nearly no lifting involved.
Focus on Technique
It’s crucial that you use good form when pushing and lifting the shovel. Try to use your arms and legs more, and your abdominal muscles less.
I’ve when got a long driveway, so when I shovel, I focus on pushing snow from the top of my driveway to about 3/4 the way down, then I push that accumulated pile of snow off to the side little by little.
For me, pushing is far easier than lifting snow, especially when it’s heavy snow.
If you’ve got a wide driveway, push snow from the center line out towards the edges; this will be the most efficient way of clearing the snow and will minimize the number of times you’ll need to lift your shovel.
If you do have to lift snow, lift a little at a time – this is not the time for heroics! I find that lifting while twisting puts more stress on my midsection, so I avoid that when possible.
Get Help from Others
There’s no shame in asking for help if you feel that shoveling is going to put your health at risk. It could be as easy as asking your spouse, your son or daughter, or a neighbor for an extra hand; most people are glad to help, and it can be a fun way to spend time together.
If you can’t find help in your home, look into hiring someone to shovel your driveway when the snow gets really deep, but make sure you’re going with a reputable person/company as snow shoveling service frauds are common! Sometimes even neighborhood teens will go door to door asking if anyone need help for a small fee, so take advantage of the help if it’s being offered.
If you see a neighbor across the street plowing through 2 feet of snow with a snowblower, ask if he wouldn’t mind clearing your driveway for a small fee. They may decline payment, but most will help anyways.
=====
# 1
A geometry-optimized ReAs2O structure, computed with PBE.

Structure (CIF):
```
data_ReAs2O
_cell_length_a 3.7785
_cell_length_b 3.7785
_cell_length_c 9.2845
_cell_angle_alpha 90.00
_cell_angle_beta 90.00
_cell_angle_gamma 90.00
_space_group_name_H-M_alt 'P 4/n m m'
_space_group_IT_number 129
loop_
_space_group_symop_operation_xyz
'x,y,z'
'-x,-y,-z'
'-y+1/2,x,z'
'y+1/2,-x,-z'
'-x+1/2,-y+1/2,z'
'x+1/2,y+1/2,-z'
'y,-x+1/2,z'
'-y,x+1/2,-z'
'x+1/2,-y,-z'
'-x+1/2,y,z'
'-y,-x,-z'
'y,x,z'
'-x,y+1/2,-z'
'x,-y+1/2,z'
'y+1/2,x+1/2,-z'
'-y+1/2,-x+1/2,z'
loop_
_atom_site_label
_atom_site_fract_x
_atom_site_fract_y
_atom_site_fract_z
Re1 0.2500 0.7500 0.0000
As1 0.2500 0.2500 0.1866
As2 0.2500 0.2500 0.6041
O1 0.2500 0.7500 0.5000
```

Properties
Its energy is -6.655 eV per atom. The calculation puts the total magnetization at 0.013 μB/f.u.


# 2
A geometry-optimized ReAs2O structure, computed with PBE.

Structure (CIF):
```
data_ReAs2O
_cell_length_a 3.3848
_cell_length_b 3.3848
_cell_length_c 11.0369
_cell_angle_alpha 90.00
_cell_angle_beta 90.00
_cell_angle_gamma 90.00
_space_group_name_H-M_alt 'P 4/n m m'
_space_group_IT_number 129
loop_
_space_group_symop_operation_xyz
'x,y,z'
'-x,-y,-z'
'-y+1/2,x,z'
'y+1/2,-x,-z'
'-x+1/2,-y+1/2,z'
'x+1/2,y+1/2,-z'
'y,-x+1/2,z'
'-y,x+1/2,-z'
'x+1/2,-y,-z'
'-x+1/2,y,z'
'-y,-x,-z'
'y,x,z'
'-x,y+1/2,-z'
'x,-y+1/2,z'
'y+1/2,x+1/2,-z'
'-y+1/2,-x+1/2,z'
loop_
_atom_site_label
_atom_site_fract_x
_atom_site_fract_y
_atom_site_fract_z
Re1 0.2500 0.2500 0.1171
As1 0.2500 0.2500 0.7617
As2 0.2500 0.7500 0.5000
O1 0.2500 0.7500 0.0000
```

Properties
Its energy is -6.513 eV per atom. The calculation puts the total magnetization at 0.009 μB/f.u.


# 3
A geometry-optimized ReSbAsO structure, computed with PBE.

Structure (CIF):
```
data_ReSbAsO
_cell_length_a 3.7849
_cell_length_b 7.1245
_cell_length_c 5.8042
_cell_angle_alpha 90.00
_cell_angle_beta 90.00
_cell_angle_gamma 90.00
_space_group_name_H-M_alt 'P m c 21'
_space_group_IT_number 26
loop_
_space_group_symop_operation_xyz
'x,y,z'
'-x,-y,z+1/2'
'-x,y,z'
'x,-y,z+1/2'
loop_
_atom_site_label
_atom_site_fract_x
_atom_site_fract_y
_atom_site_fract_z
Re1 0.0000 0.0741 0.0000
Sb1 0.5000 0.4716 0.9168
As1 0.0000 0.2555 0.3754
O1 0.5000 0.0760 0.9935
```

Properties
Its energy is -6.701 eV per atom. The value obtained for the relative energy among the computed polymorphs is 46 meV/atom. The calculation puts the total magnetization at 0.000 μB/f.u.


# 4
A geometry-optimized ReSbAsO structure, computed with PBE.

Structure (CIF):
```
data_ReSbAsO
_cell_length_a 3.7963
_cell_length_b 3.7963
_cell_length_c 9.6922
_cell_angle_alpha 90.00
_cell_angle_beta 90.00
_cell_angle_gamma 90.00
_space_group_name_H-M_alt 'P 4/n m m'
_space_group_IT_number 129
loop_
_space_group_symop_operation_xyz
'x,y,z'
'-x,-y,-z'
'-y+1/2,x,z'
'y+1/2,-x,-z'
'-x+1/2,-y+1/2,z'
'x+1/2,y+1/2,-z'
'y,-x+1/2,z'
'-y,x+1/2,-z'
'x+1/2,-y,-z'
'-x+1/2,y,z'
'-y,-x,-z'
'y,x,z'
'-x,y+1/2,-z'
'x,-y+1/2,z'
'y+1/2,x+1/2,-z'
=====
Additional Tips
Aside from hernia prevention, here are a few things that’ll make shoveling snow a little more enjoyable!
- Keep hydrated. Drink something warm before you head out to tackle the driveway. If you’re going to be out there for a while, take a thermos of warm fluids out with you (hello vegan hot chocolate!) .
- Warm up before you start. Doing some light stretches can minimize injury.
- Layer your clothes. I’m not your mom, but she’s probably told you 100 times that layering your clothes will keep you warm and comfortable. It’s easier to remove clothing if you get too hot or sweaty when it’s in layers.
- Slow down! Clearing your driveway isn’t a race, so take it slow. Injuries tend to happen more when we are in a rush or careless.
- Take some music with you! I’ve got a Bluetooth headset that I use to stream music while I’m out shoveling; headsets will work just fine!
- Use salt/sand on walkways. Once you’re done shoveling, throw some salt or sand on walkways or steps approaching your front door. You’ve gone through at least one surgery, and you don’t need another one because you’ve slipped on icy steps!
- Empty your pouch before you head outside. This will help to prevent a leak or blowout while you’re out there busting your hump!
Closing Thoughts
Use common sense if you’ve got an ostomy and need to shovel snow. If you feel any pain or discomfort, stop what you’re doing and have someone else finish the job.
Eric, can you please help. What is a good way to measure irregular cut to fit and how snug should you get with the cut to fit so it won’t drain on skin. I recently had a loop colostomy (like less than 3 weeks ago) and I am still feeling it a little. My stoma is irregular kind of crescent shaped high above skin on onside and dipping on the other side. I am having trouble with cutting to fit. I have tried figuring out cut size with pipe cleaner, but don’t know if I have it too close. I have been told different things like leave room vs snug to fit. Currently, I just did a bag change and it feels sensitive on the left side with the dip. Don’t know if it is because of leak or sensitivity to adhesive. My skin is sensitive and I don’t think it much likes Hollister adhesive.
Hi Eric.
• These data records were left in the article by mistake:
~~~
i.
## Pm3PrDy3 (PBE)

Data for an optimized crystal structure of Pm3PrDy3.

abc: 8.7436 8.7436 22.1225
angles: 90.00 90.00 120.00
Space group R-3 (No. 148, hexagonal axes)
One atom of each set of equivalent atoms:
Pm (0.0504, 0.4480, 0.3807) [18 per cell]
Pr (0.0000, 0.0000, 0.1535) [6 per cell]
Dy (0.0042, 0.2313, 0.5586) [18 per cell]

Summary:
The calculation puts the density of states at the Fermi level at 1.521 states/eV/atom. Its magnetic moment is 0.00 Bohr magnetons per cell.



ii.
## Pm3PrDy3 (PBE)

Data for an optimized crystal structure of Pm3PrDy3.

abc: 10.0287 10.0287 8.2140
angles: 90.00 90.00 120.00
Space group R3m (No. 160, hexagonal axes)
One atom of each set of equivalent atoms:
Pm (0.0921, 0.5461, 0.0000) [9 per cell]
Pr (0.0000, 0.0000, 0.0404) [3 per cell]
Dy (0.0653, 0.5327, 0.4297) [9 per cell]

Summary:
The calculation puts the density of states at the Fermi level at 1.543 states/eV/atom. Its magnetic moment is 0.00 Bohr magnetons per cell.



Stability comparison, relative energies in kJ/mol of atoms: i 0.0; ii 2.4



i.
## PmPr3Dy7 (PBE)

Data for an optimized crystal structure of PmPr3Dy7.

abc: 6.5674 6.7078 8.6886
angles: 99.05 98.75 95.12
Space group P-1 (No. 2)
One atom of each set of equivalent atoms:
Pm (0.0000, 0.0000, 0.0000) [1 per cell]
Pr (0.2997, 0.4370, 0.3385) [2 per cell]
Pr (0.5000, 0.0000, 0.5000) [1 per cell]
Dy (0.0000, 0.5000, 0.0000) [1 per cell]
Dy (0.0586, 0.2072, 0.6441) [2 per cell]
Dy (0.2256, 0.7231, 0.7158) [2 per cell]
Dy (0.4861, 0.2348, 0.9165) [2 per cell]

Summary:
The calculation puts the density of states at the Fermi level at 1.555 states/eV/atom. Its magnetic moment is 0.00 Bohr magnetons per cell.



ii.
## PmPr3Dy7 (PBE)

Data for an optimized crystal structure of PmPr3Dy7.

abc: 7.1094 7.1094 8.7619
angles: 90.00 90.00 120.00
Space group P3m1 (No. 156)
One atom of each set of equivalent atoms:
Pm (0.0000, 0.0000, 0.0000) [1 per cell]
Pr (0.1669, 0.3339, 0.6594) [3 per cell]
Dy (0.0016, 0.5008, 0.9988) [3 per cell]
Dy (0.3323, 0.1662, 0.3227) [3 per cell]
Dy (0.3333, 0.6667, 0.3198) [1 per cell]

Summary:
The calculation puts the density of states at the Fermi level at 1.545 states/eV/atom. Its magnetic moment is 0.00 Bohr magnetons per cell.



Stability comparison, relative energies in kJ/mol of atoms: i 0.0; ii 5.1



i.
## Pm2Pr2Dy (PBE)

Data for an optimized crystal structure of Pm2Pr2Dy.

abc: 8.6824 9.8596 9.0481
angles: 90.00 112.54 90.00
Space group C2/c (No. 15)
One atom of each set of equivalent atoms:
Pm (0.0000, 0.0000, 0.0000) [4 per cell]
Pm (0.2500, 0.2500, 0.0000) [4 per cell]
Pr (0.1597, 0.4123, 0.6373) [8 per cell]
Dy (0.0000, 0.2980, 0.2500) [4 per cell]

Summary:
The calculation puts the density of states at the Fermi level at 1.641 states/eV/atom. Its magnetic moment is 0.00 Bohr magnetons per cell.



ii.
## Pm2Pr2Dy (PBE)

Data for an optimized crystal structure of Pm2Pr2Dy.

abc: 6.4037 5.8804 9.7902
angles: 90.00 109.00 90.00
~~~
First of all I like to thank you for all your help ,you have been and still even today a great source of information for me .
I had my surgery almost one year now and thanks to you i’m doing well.
But I do have a hernia ,so that’s not so great.
About shoveling snow, I’m lucky I have my neighbour doing it for me .
Again Eric keep up with the fine work you’re doing .
Hi Johanna,
Glad to hear that you’re doing well, but sorry to hear that you’ve developed a hernia :( I hope you’re able to manage that OK.
I’m happy to hear that you have a friendly neighbor who’s able to help with the snow! I often feel like snow blowers should be covered by insurance ;)
Take care!
Hey, in Baltimore we also get snow. We have around 15 families living on our street. We live and let live all year long except for snow. Then , each of us looks out for the other.
Still, I am afraid of slipping on ice. The path from my door till the street is 25’+/-. And there is 40’of sidewalk that must be clear. At first, I shoveled , salted and scraped ice where people stepped. Then, I got smart and realized that if I could stop the compressed snow from sticking to the frozen cement, I wouldn’t have a problem.
SO , I spread leaves onto the walk. (The leaves came from my lawn, that i lazily didn’t rake up.)
Next snow forecast, I spead a layer on the cement walk. After the snow stopped, I basically just swept it to the side onto the lawn. Took 6 minutes. No sweat! No salt, either.
And no danger of slipping or of getting a heart attack.
that’s a great suggestion! We’ve had several large snow storms already… not looking forward to more!
Hi Eric, Brilliant subject to cover, plus these tips are useful for all sorts of outdoor work, Can I add that the longer the shaft/handle on the shovel is better as I gives a better stance and back position. and its not a race slow and steady. Plus and one with a Ride on mower they can be fitted with a front scraper very easy. Plus clear snow before it gets walked or driven on. I know its sad folks that this is getting me excited !! I could post links to garden machinery sites but I won,t lol.
haha! John, if you lived closer I’d be getting you to shovel my driveway =)